Getting traffic to your website is something everyone worries about online.
The problem is that ranking for search traffic is really hard.
Seriously, I’ve been at this for a long time myself, and I still fight the battle to get my content seen above the all the noise online, so I totally get that the struggle is real.
You see, if you don’t get traffic to your site, then all the work you do creating content and building amazing offers isn’t going to do anything.
But several years ago I found this SEO plugin that has helped me a ton, and helped me help my clients to optimize their site for search traffic, and now it’s included on most new sites I create.
What I’m going to show you today is how you can install that plugin yourself so you can start climbing the rankings and start seriously competing search traffic.
Making your site visible and attractive to search engines is something you absolutely must do. And one of the best ways to do that is to use the Yoast SEO plugin.
This lesson covers getting it installed and getting your basic configuration in place.
WordPress SEO For Beginners
Welcome back to The Building your WordPress Framework series where we’re setting up your new self hosted WordPress site with essential features and functions that are going to help you get off the ground as quickly as possible and get your site going so you can start focusing on creating your content. We are going to be installing the Yoast SEO plugin and this video.
Let’s go ahead and jump in. Over here, we’re just going to come up here again to our plugins over here on our admin menu, and then we’re going to click Add New. Then we’re going to come over here and search for Yoast SEO.
Someone pasted data records at this point:
<<<
[1]
! AgSnBi2S5, relaxed, DFT GGA-PBE; values from VASP
&SYSTEM
  ibrav = 0, nat = 18, ntyp = 4
/
ATOMIC_SPECIES
Ag 107.87 Ag.upf
Sn 118.71 Sn.upf
Bi 208.98 Bi.upf
S 32.06 S.upf
ATOMIC_POSITIONS crystal
Ag 0.058 0.942 0.500
Ag 0.942 0.058 0.000
Sn 0.262 0.738 0.071
Sn 0.738 0.262 0.571
Bi 0.362 0.638 0.309
Bi 0.427 0.573 0.713
Bi 0.573 0.427 0.213
Bi 0.638 0.362 0.809
S 0.006 0.994 0.836
S 0.108 0.892 0.079
S 0.221 0.779 0.449
S 0.237 0.763 0.734
S 0.429 0.571 0.126
S 0.571 0.429 0.626
S 0.763 0.237 0.234
S 0.779 0.221 0.949
S 0.892 0.108 0.579
S 0.994 0.006 0.336
CELL_PARAMETERS angstrom
1.965 -8.346 0.000
1.965 8.346 0.000
0.000 0.000 13.775
! energy relative to the elements, uncorrected	-0.24	eV/atom
! raw total energy	-4.161	eV/atom
! SG	Cmc2_1

---

[2]
! NdSmTm2Te6, relaxed, DFT GGA-PBE; values from VASP
&SYSTEM
  ibrav = 0, nat = 10, ntyp = 4
/
ATOMIC_SPECIES
Nd 144.24 Nd.upf
Sm 150.36 Sm.upf
Tm 168.93 Tm.upf
Te 127.60 Te.upf
ATOMIC_POSITIONS crystal
Nd 0.000 0.000 0.000
Sm 0.498 0.498 0.498
Tm 0.310 0.310 0.310
Tm 0.811 0.811 0.811
Te 0.080 0.698 0.423
Te 0.203 0.580 0.917
Te 0.423 0.080 0.698
Te 0.580 0.917 0.203
Te 0.698 0.423 0.080
Te 0.917 0.203 0.580
CELL_PARAMETERS angstrom
3.886 2.243 7.017
-3.886 2.243 7.017
0.000 -4.487 7.017
! energy relative to the elements, uncorrected	-1.35	eV/atom
! raw total energy	-5.080	eV/atom
! SG	R3

----------

(1)
This record from Alexandria via LeMat-Bulk describes RbCrInF6 after structural relaxation. The functional is PBE with a Hubbard U.

```
18
Lattice="-3.7279 3.9990 5.6666 3.7279 -3.9990 5.6666 3.7279 3.9990 -5.6666" Properties=species:S:1:pos:R:3 pbc="T T T"
Rb 0.0000 1.9995 0.8529
Rb 3.7279 1.9995 4.8137
Cr 1.8639 1.9995 -2.8333
Cr 1.8639 -1.9995 2.8333
In 3.7279 0.0000 0.0000
In 0.0000 0.0000 5.6666
F 3.7279 -1.9995 3.5349
F 2.1801 -0.4246 1.3407
F 5.2756 -0.4246 1.3407
F 3.7279 1.9995 0.7673
F 2.1801 3.5744 -1.3407
F 1.5478 -0.4246 4.3259
F 2.1801 4.4236 1.3407
F 1.5478 0.4246 7.0073
F 0.0000 1.9995 4.8993
F -1.5478 4.4236 4.3259
F 1.5478 4.4236 4.3259
F 0.0000 5.9985 2.1317
```

Calculated values
Crystal system: orthorhombic
Density: 3600 kg/m3
E: -5.113 eV per atom

=====

(2)
This record from Alexandria via LeMat-Bulk describes Rb4Cr3InF12 after structural relaxation. The functional is PBE with a Hubbard U.

```
20
Lattice="-4.4116 4.4116 4.4116 4.4116 -4.4116 4.4116 4.4116 4.4116 -4.4116" Properties=species:S:1:pos:R:3 pbc="T T T"
Rb 2.2058 2.2058 -2.2058
Rb 2.2058 -2.2058 2.2058
Rb -2.2058 2.2058 2.2058
Rb 2.2058 2.2058 2.2058
Cr 4.4116 0.0000 0.0000
Cr 0.0000 4.4116 0.0000
Cr 0.0000 0.0000 4.4116
In 0.0000 0.0000 0.0000
F 2.4790 0.0000 0.0000
F 6.3441 0.0000 0.0000
F 4.4116 2.2058 0.0000
F 4.4116 0.0000 2.2058
F 0.0000 2.4790 0.0000
F 0.0000 0.0000 2.4790
F 2.2058 4.4116 0.0000
F 2.2058 0.0000 4.4116
F 0.0000 6.3441 0.0000
F 0.0000 0.0000 6.3441
F 0.0000 4.4116 2.2058
F 0.0000 2.2058 4.4116
```

Calculated values
Crystal system: cubic
Density: 4065 kg/m3
E: -5.182 eV per atom
>>>
Here we got it returning as the first result here. We’re going to go ahead and get that installed. While this is getting set up, I want to just touch base on a couple things. There are a lot of things that you can do with this Yoast SEO plugin that we’re not going to cover in this video.
The point of what we’re trying to do here is to get you up and running with your WordPress site. We’re going to set a couple features up. We’re going to walk through the setup wizard that Yoast provides so that you can get the basics in place, and then again, go back in the future.
Once you’ve had some time to go do a bit of a deep dive on what you can actually do with the Yoast plugin, I would highly suggest doing that, by the way. But there are a lot of things that you want to pay attention to. We’re going to put the framework in place here so that we can be building on top of something that is going to scale with us and grow with this as we are always trying to do with this website.
Configuring Yoast SEO
We’re going to come over here. Now that we’ve got this plugin activated over on the side, you’ll see now you have this SEO option in your admin menu. We’re just going to go ahead and click on that. This is going to bring us to this setup for getting the Yoast SEO plugin installed and configured.
Like I said, there’s a lot of things that that you can do with this, but we’re going to go ahead and just walk through this configuration wizard. Then there are a couple other things that I want to show you so that we’ve got the basics in place, so we can make sure that we’re getting everything done.
Here we go into the configuration wizard. This is going to walk us through several steps here to get some basics in place. We are going to click here to configure Yoast SEO.
First question it’s asking here is if this site is already active or is under construction. We’re already live because we’re live on our domain. We’re going to go ahead and leave this as this is here.
WordPress Site Type
Then this is where you choose your site type It will provide some additional settings based on the kind of site that you’re using. For what we’re doing here on mywpexample, we’re going to go ahead and leave it as a blog. But if you’re setting up a shop, or a magazine site, which would be maybe the equivalent of a news channel, or a business site or something like that, you may want to go ahead and hit one of those selections there to get that part configured as well.
We’re going to go ahead and click on Next, because we’re just going to go with the blog. Then we’re going to answer. This one here is, we are representing an organization, or is this a personal site. For the purposes of our demonstration, we’re going to leave it as a person.
But if you are using this to set up a company site, there are a couple additional things here that you can do, put the name of your company in here, obviously, and then upload your logo. Then Yoast will put into place some things that will help you with your search engine results pages, and how your information is displayed on those.
For our purposes here, we’re going to go ahead and click on person. We’re just going to leave the name as mywpexample, for now. Then on this page, you have the opportunity to set up any links to your social profiles, which I would definitely suggest that you do. Go ahead and put your Twitter, your Facebook, your LinkedIn, your Instagram, so on and so forth in on this page.
Search Engine Visibility
Then this is talking about search engine visibility. We just want to make sure that we want to have these items on our site indexed and searchable by the various search engines. We want to make sure that we’ve got post to be displayed or pages are also going to be returned in any search results related to our website.
We’re going to go ahead and click Next on that, since both of those are already set to Yes. Now, our site here is only going to have one author, but if we had multiple authors, we would go ahead and select this.
It would give us some additional options for things that we can do with that. For now, we’re just going to go ahead and leave this set to No. It’s just one site, one person, one author. Then here is one of the two main things that I want to cover as far as this setup is concerned.
Google Search Console
You’ll remember before that we created our site in Google Search Console. We want to go ahead and get that added here. I’ve already done that in this step here. You want to go ahead and get connected to Google Search Console.
Then what this step will do is give you the option to select that profile once you’ve made that connection to get your XML sitemap in place. Here, we want to go ahead and get the Google authorization code.
Here’s what that’s going to look like. We’re going to go ahead and continue here. Here is that code just to walk through that so you can see. It’s just asking for an authorization code to make that connection with Google Search Console so that you can get those two connected.
That’s what that’s about. We copy that from there, paste it into there. Then it will give you this drop down here. We’re working with and we’re good to go there.
That’s all that we need to do for that particular option there. This gives us some options in terms of what the items look like in terms of our page titles.
Materials data, kept here for reference:
/*
{"formula": "Li2Ni3WO8", "functional": "PBE with a Hubbard U", "state": "relaxed", "energy_ev_per_cell": -314.306, "polymorph_energy_mev_per_atom": 25.4, "lattice": [[8.5267, 0.0000, 0.0000], [0.0000, 8.5267, 0.0000], [0.0000, 0.0000, 8.2138]], "species": ["Li", "Li", "Li", "Li", "Li", "Li", "Li", "Li", "Ni", "Ni", "Ni", "Ni", "Ni", "Ni", "Ni", "Ni", "Ni", "Ni", "Ni", "Ni", "W", "W", "W", "W", "O", "O", "O", "O", "O", "O", "O", "O", "O", "O", "O", "O", "O", "O", "O", "O", "O", "O", "O", "O", "O", "O", "O", "O", "O", "O", "O", "O", "O", "O", "O", "O"], "frac_coords": [[0.0010, 0.2569, 0.3804], [0.2431, 0.5010, 0.1304], [0.2569, 0.0010, 0.6196], [0.4990, 0.7569, 0.3696], [0.5010, 0.2431, 0.8696], [0.7431, 0.9990, 0.1196], [0.7569, 0.4990, 0.6304], [0.9990, 0.7431, 0.8804], [0.1224, 0.3776, 0.7525], [0.1224, 0.6224, 0.5025], [0.1306, 0.8694, 0.2500], [0.3694, 0.3694, 0.5000], [0.3776, 0.1224, 0.2475], [0.3776, 0.8776, 0.9975], [0.6224, 0.1224, 0.4975], [0.6224, 0.8776, 0.7475], [0.6306, 0.6306, 0.0000], [0.8694, 0.1306, 0.7500], [0.8776, 0.3776, 0.0025], [0.8776, 0.6224, 0.2525], [0.1219, 0.1219, 0.0000], [0.3781, 0.6219, 0.7500], [0.6219, 0.3781, 0.2500], [0.8781, 0.8781, 0.5000], [0.1045, 0.6310, 0.2722], [0.1054, 0.8632, 0.5002], [0.1232, 0.3563, 0.9865], [0.1239, 0.1323, 0.7651], [0.1310, 0.3955, 0.5222], [0.1323, 0.1239, 0.2349], [0.1368, 0.8946, 0.9998], [0.1437, 0.6232, 0.7365], [0.3563, 0.1232, 0.0135], [0.3632, 0.3946, 0.7502], [0.3677, 0.6239, 0.5151], [0.3690, 0.8955, 0.2278], [0.3761, 0.6323, 0.9849], [0.3768, 0.8563, 0.7635], [0.3955, 0.1310, 0.4778], [0.3946, 0.3632, 0.2498], [0.6054, 0.6368, 0.7498], [0.6045, 0.8690, 0.9778], [0.6232, 0.1437, 0.2635], [0.6239, 0.3677, 0.4849], [0.6310, 0.1045, 0.7278], [0.6323, 0.3761, 0.0151], [0.6368, 0.6054, 0.2502], [0.6437, 0.8768, 0.5135], [0.8563, 0.3768, 0.2365], [0.8632, 0.1054, 0.4998], [0.8677, 0.8761, 0.7349], [0.8690, 0.6045, 0.0222], [0.8761, 0.8677, 0.2651], [0.8768, 0.6437, 0.4865], [0.8946, 0.1368, 0.0002], [0.8955, 0.3690, 0.7722]]}


# 1
CePuZnPt | Alexandria via LeMat-Bulk | PBE | optimized geometry; space-group type = F-43m, No. 216; calculated formation energy = -0.482 eV per atom; calculated density = 11.8 g/cm3
1.0
0.000 3.564 3.564
3.564 0.000 3.564
3.564 3.564 0.000
Ce Pu Zn Pt
1 1 1 1
direct
0.000 0.000 0.000
0.500 0.500 0.500
0.750 0.750 0.750
0.250 0.250 0.250

# 2
RbCePt10 | Alexandria via LeMat-Bulk | PBE | optimized geometry; space-group type = Pmmm, No. 47; calculated formation energy = -0.392 eV per atom; calculated density = 15.7 g/cm3
1.0
4.389 0.000 0.000
0.000 5.521 0.000
0.000 0.000 9.484
Rb Ce Pt
1 1 10
direct
0.000 0.000 0.000
0.000 0.500 0.500
0.000 0.000 0.338
0.000 0.000 0.662
0.000 0.500 0.176
0.000 0.500 0.824
0.500 0.000 0.500
0.500 0.255 0.259
0.500 0.255 0.741
0.500 0.500 0.000
0.500 0.745 0.259
0.500 0.745 0.741

# 3
*/
Configuration Wizard
If you look up here, at the top of my browser, you’ll see that we’ve got this Yoast SEO, and then we’ve got this arrow pointing right and then the configuration wizard. You can see that that little carrot is in there, that means that this particular character right here has been selected.
If you look over here, same thing, CloudFlare is doing something similar as well. They’ve got DNS, and then they’ve got a pipe symbol, and then they’ve got that website name, and then another pipe symbol, so on and so forth, which is equivalent to what I’ve got set right here.
Basically, what this does is you’re creating the separators between the different items that are returned in a page for how that information is displayed.
_These materials data were left in the page by mistake_
=====
ScBeN: relaxed, GGA-PBE.

POSCAR file:
```
ScBeN
1.0
3.1019 0.0197 0.0000
-0.0132 3.1020 0.0000
0.0000 0.0000 7.4374
N Sc Be
2 2 2
Direct
0.2593 0.7593 0.8506
0.7593 0.2593 0.1494
0.2610 0.7610 0.1512
0.7610 0.2610 0.8488
0.9891 0.9891 0.5000
0.4891 0.4891 0.5000
```

Calculated values
Space-group type ... Aem2 (39)
Electronic total energy ... -20.557 eV/f.u.

=====

ScBeSeN2: relaxed, GGA-PBE.

POSCAR file:
```
ScBeSeN2
1.0
-2.1671 -0.3563 -2.8659
-0.2381 -3.5488 0.6212
-3.9076 0.7628 2.8600
Sc Be Se N
1 1 1 2
Direct
0.5000 0.5000 0.5000
0.0000 0.0000 0.0000
0.0000 0.0000 0.5000
0.0000 0.5000 0.0000
0.5000 0.0000 0.0000
```

Calculated values
Space-group type ... P4/mmm (123)
Electronic total energy ... -28.653 eV/f.u.

=====

ScBeSeN2: relaxed, GGA-PBE.

POSCAR file:
```
ScBeSeN2
1.0
-0.7289 3.7004 -1.1793
-1.9271 -1.3863 -3.1590
-4.9129 -0.0110 3.0018
Sc Be Se N
1 1 1 2
Direct
0.0000 0.0000 0.0000
0.5000 0.5000 0.5000
0.0000 0.0000 0.5000
0.0000 0.5000 0.0000
0.5000 0.0000 0.0000
```

Calculated values
Space-group type ... P4/mmm (123)
Electronic total energy ... -25.764 eV/f.u.
=====
_The materials data stop here_
You can set it as a semi colon as a dot, as a star, as a dash, as an em dash, however you want that to be displayed. Up here in this page title is what this is going to return.
It’s really just a matter of preference, but as you can see these ones that are narrow, horizontally fit better, and you have more space of here in this tab to display additional information there. It’s a little bit easier to read instead of some of the wider ones. That’s really kind of a small thing, but it looks nice.
You want to pick one that you feel good with there. We’re going to click Next. We’re good on that.
Yoast Newsletter
Next, it’s going to ask us about signing up for a newsletter, which I’m already signed up to. I would recommend going ahead and checking that out because they’re going to send you some great information on search engine optimization as a whole.
Since I’m already signed up, I’m not going to hit that again. You just click this>to go through and sign up on that. Then there’s some additional content here some additional training. Like I said, the whole purpose of what we’re doing here is to get the basics in place so we can build on that.
I would definitely recommend going back and digging deeper into the capabilities of this plugin and looking at some of this additional training. They have some additional products that are really good that you could purchase as well.
There is a professional premium version of the Yoast SEO plugin that you may want to look at, at some point in the future as well. So far as we’re concerned, we’re good with this for now. We’re just going to go ahead and hit next. That’s it. We are good to go.
We’re going to go ahead and close out of this. We’ll go back to the dashboard we’ve walked through previously. We don’t have any configuration errors or any problems at this point. The basics for this Yoast SEO plugin are set up and ready to go. We made that connection between Google Search Console and in our website, so that part is taken care of so we’re good to go there.
On Page SEO With Yoast SEO
The only other thing that I want to show you here is what happens now on a post by post basis. We’ll go back to our example posts that we’re working with. Now that we’ve got this plugin activated, you’re going to get some additional options here on posts and pages for things that you will be able to configure for your website.
As you can see here, the title of this page is going to look like, “Hello, world!” and then it’s got the pipe symbol that I selected, and then it’s got my site name here.
Then I have the ability here and this is something that you’ll want to pay attention to on a post by post basis is to make sure that you’ve got a unique description associated with your post that contains your seed keyword or your primary keyword for that particular post.
You want to keep this description short and succinct round to 150 or so characters, because this is what’s going to be displayed in your search results when you’re ranking for these particular things.
You can see it says, “Please provide a meta description by editing the snippet below”, so on and so forth. Here’s where we would incorporate that so it could be something like, “Here is my first post on my new self hosted WordPress site.”
Again, as you can see, this is what’s going to be the description here that is associated with your link in your search results. You want to make sure that you’ve got that part taken care of, and then you can go through some of these additional factors like readability, those kinds of things.
I wouldn’t get too in the weeds on this, but you want to learn what these things are so you can build good habits into your content creation schedule, so that you can make sure that you’re working on getting your site and your article or your post optimized for search engines.
That’s it for this one. Make sure you dig deeper into this one so that you see all of the features and options you have available to you but this is going to get you squared away with getting the basics in place for what you want to do here with this Yoast SEO plugin.